(Job)
The reader should search the rows further down for the word "is" and print each line that has it.
(Input)
........
Entry 1:
This record from the Alexandria database describes an optimized crystal structure of Tm2ScZn. The functional is PBE.

Results
**Electronic total energy**: -4.135 eV per atom
**Formation energy from the elements**: 2 meV per atom
**Distance to the lowest polymorph of the same formula**: 0.1533 eV/atom

Cell and atoms, written as CIF:
```
data_Tm2ScZn
_chemical_formula_sum 'Tm8 Sc4 Zn4'
_space_group_name_H-M_alt 'F m -3 m'
_space_group_IT_number 225
_space_group_name_Hall '-F 4 2 3'
_cell_length_a 7.290
_cell_length_b 7.290
_cell_length_c 7.290
_cell_angle_alpha 90.00
_cell_angle_beta 90.00
_cell_angle_gamma 90.00
loop_
_atom_site_label
_atom_site_type_symbol
_atom_site_fract_x
_atom_site_fract_y
_atom_site_fract_z
Tm1 Tm 0.250 0.250 0.250
Sc1 Sc 0.000 0.000 0.000
Zn1 Zn 0.000 0.000 0.500
```

---

Entry 2:
This record from the Alexandria database describes an optimized crystal structure of Sr2AcZnO5. The functional is PBE.

Results
**Electronic total energy**: -6.102 eV per atom

Cell and atoms, written as CIF:
```
data_Sr2AcZnO5
_chemical_formula_sum 'Sr8 Ac4 Zn4 O20'
_space_group_name_H-M_alt 'I 4/m c m'
_space_group_IT_number 140
_space_group_name_Hall '-I 4 2c'
_cell_length_a 6.785
_cell_length_b 6.785
_cell_length_c 11.703
_cell_angle_alpha 90.00
_cell_angle_beta 90.00
_cell_angle_gamma 90.00
loop_
_atom_site_label
_atom_site_type_symbol
_atom_site_fract_x
_atom_site_fract_y
_atom_site_fract_z
Sr1 Sr 0.165 0.335 0.000
Ac1 Ac 0.000 0.000 0.250
Zn1 Zn 0.000 0.500 0.250
O1 O 0.000 0.000 0.000
O2 O 0.158 0.342 0.354
```

---

Entry 3:
This record from the Alexandria database describes an optimized crystal structure of Ba2AgPd2. The functional is PBE.

Results
**Electronic total energy**: -3.876 eV per atom
**Formation energy from the elements**: -460 meV per atom
**Distance to the lowest polymorph of the same formula**: 0.0059 eV/atom

Cell and atoms, written as CIF:
```
data_Ba2AgPd2
_chemical_formula_sum 'Ba8 Ag4 Pd8'
_space_group_name_H-M_alt 'C 1 2/c 1'
_space_group_IT_number 15
_space_group_name_Hall '-C 2yc'
_cell_length_a 10.437
_cell_length_b 6.136
_cell_length_c 8.952
_cell_angle_alpha 90.00
_cell_angle_beta 103.92
_cell_angle_gamma 90.00
loop_
_atom_site_label
_atom_site_type_symbol
_atom_site_fract_x
_atom_site_fract_y
_atom_site_fract_z
Ba1 Ba 0.150 0.143 0.151
Ag1 Ag 0.000 0.361 0.750
Pd1 Pd 0.132 0.366 0.504
```

---

Entry 4:
This record from the Alexandria database describes an optimized crystal structure of GaB2Au. The functional is PBE.

Results
**Electronic total energy**: -4.041 eV per atom
**Formation energy from the elements**: 874 meV per atom

Cell and atoms, written as CIF:
```
data_GaB2Au
_chemical_formula_sum 'Ga4 B8 Au4'
_space_group_name_H-M_alt 'I -4 2 d'
_space_group_IT_number 122
_space_group_name_Hall 'I -4 2bw'
_cell_length_a 4.937
_cell_length_b 4.937
_cell_length_c 10.062
_cell_angle_alpha 90.00
_cell_angle_beta 90.00
_cell_angle_gamma 90.00
loop_
_atom_site_label
_atom_site_type_symbol
_atom_site_fract_x
_atom_site_fract_y
_atom_site_fract_z
Ga1 Ga 0.000 0.000 0.000
B1 B 0.243 0.250 0.625
Au1 Au 0.000 0.000 0.500
```

---

Entry 5:
This record from the Alexandria database describes an optimized crystal structure of Mn2HAu. The functional is PBE.

Results
**Electronic total energy**: -5.127 eV per atom
**Distance to the lowest polymorph of the same formula**: 0.9180 eV/atom

Cell and atoms, written as CIF:
```
data_Mn2HAu
_chemical_formula_sum 'Mn8 H4 Au4'
_space_group_name_H-M_alt 'F m -3 m'
_space_group_IT_number 225
_space_group_name_Hall '-F 4 2 3'
_cell_length_a 5.775
_cell_length_b 5.775
_cell_length_c 5.775
_cell_angle_alpha 90.00
_cell_angle_beta 90.00
_cell_angle_gamma 90.00
loop_
_atom_site_label
_atom_site_type_symbol
_atom_site_fract_x
_atom_site_fract_y
_atom_site_fract_z
Mn1 Mn 0.250 0.250 0.250
H1 H 0.000 0.000 0.000
Au1 Au 0.000 0.000 0.500
```

---

Entry 6:
........
(Result)
This record from the Alexandria database describes an optimized crystal structure of Tm2ScZn. The functional is PBE.
This record from the Alexandria database describes an optimized crystal structure of Sr2AcZnO5. The functional is PBE.
This record from the Alexandria database describes an optimized crystal structure of Ba2AgPd2. The functional is PBE.
This record from the Alexandria database describes an optimized crystal structure of GaB2Au. The functional is PBE.
This record from the Alexandria database describes an optimized crystal structure of Mn2HAu. The functional is PBE.